Chereads / destiny were you take me / Chapter 221 - forcible jerk

Chapter 221 - forcible jerk

Me: humm

He: humm think as much you want to make reason

Me: a

He: a fast please or else

Me: ...

He: a-

Me: yes (as i push him and start run back far from him. while covering my mouth)

Jk: so its surprise time.

He: huh told me

Jk: (while strping back) you cant remember anything between you cause first nothing happened between you and you cant remember cause she punch you to make you fainted.. As he run

He: WHAT! And your telling me this NOW! You... Wait she run here.. I should follow her..

Kai: here... Ah.. What is this noise at this night! Cant i sleep pacefully once!

He get near to door and as open..

Suddenly he get pushed back into room.

Me: am sorry! (while running)

He again come out to see who.. Suddenly his foot get stomped by jerk.

He: agh... My feet.. You!

He turn to get back into room as he bumped on somthing.

Jk: (agh... Am sorry!) did you know were they both are?

He: there they run..

Jk: oh thanks! Gays wait...

He: what the hell is happening here at this late night

I even cant sleep again they broke my sleep! What this girl did now?

Agh.. Whatever.. I am going to sleep more. Ah my feet now also paining..


Me:(while running) am sorry JERK! For punch but mistake was yours...

He: let me just got you!(while running)

Jk: wait gays.. Where are you?

Yah there..


Me: yah i already said sorry dont follow me na!

He: yah then stop i am also tired.

Me: no! I dont want just stop following me!

Jk: yah you both-

We are again running

(whole palace get wakeup by sounds..)


Finally he caught me! In garden and pin me to the piller. (were we both are breathing heavily)

Me: (while looking down) am sorry!

He:yah you! (as he start rising his hand.. (i think this dude gonna punch me) i close my eyes ready to fill pain but wait i didnt fill pain on cheek as i open my eyes. And foynd him starring at my scared face.

Me: a-ah-

He:(while putting finger on my lips) shh! As he cupped my face (wait did this dude done prevertness instade of punch on me. Instead of his prevertness i rather love to eat his punch.

I am in my thoughts suddenly i fill

He's caressing my cheeks with his thumbs.. While cupping my face.

He: how small your face is(What!

• Misplaced crystal structures:
'''
Entry 1:
This record from Alexandria describes an optimized crystal structure of ZnCrTeN2. The functional is GGA-PBE.

* volume: 19.7 Å³ per atom
* E above lowest polymorph: 1.0474 eV per atom
* E_tot: -4.618 eV/atom
* Fermi-level density of states: 0.693 states/eV/atom
* E_form (uncorrected): 1.52 eV/atom

Cell: 3.936 3.936 6.360 Å, 90.00 90.00 90.00°
Space group P4/mmm (No. 123)
Asymmetric unit:
Zn1 0.000 0.000 0.000 [1 per cell]
Cr1 0.500 0.500 0.500 [1 per cell]
Te1 0.000 0.000 0.500 [1 per cell]
N1 0.000 0.500 0.000 [2 per cell]

---

Entry 2:
This record from Alexandria describes an optimized crystal structure of ZnCrTeN2. The functional is GGA-PBE.

* volume: 16.1 Å³ per atom
* E above lowest polymorph: 0.0000 eV per atom
* E_tot: -5.665 eV/atom
* Fermi-level density of states: 0.593 states/eV/atom
* E_form (uncorrected): 0.47 eV/atom

Cell: 3.760 3.760 5.709 Å, 90.00 90.00 90.00°
Space group P4/mmm (No. 123)
Asymmetric unit:
Zn1 0.000 0.000 0.000 [1 per cell]
Cr1 0.500 0.500 0.500 [1 per cell]
Te1 0.500 0.500 0.000 [1 per cell]
N1 0.000 0.500 0.500 [2 per cell]
'''
• The entry goes on:

Is that compliment or a joke)

Me: ha ha ha(fake laughing) really? I donrlt know about that. Now can i go! (as i said i start moving. And ehile bending down from his hands. I am gonna leave but he again get me between his arms by putting hand front of me down i look at him in disbelief and gonna move from up but he again caught me by putting hand upside front of me)

He:(with glare) did i say you to leave.

Me:(wispering under my breath) who the hell are you that i need to take your permission)

He: Your JERK! (as he said that he pull my ear (like mothers our did.. Or you can say that i grab his and starts squishing)

Me: ah.. Ah.. Leave it its paining.

He:(with the help of his other hand start pulling me close

He: want i let you go ear

Me:(while nodding my head in yes) yes!

He: then lets go i want to talk with you!

Me:(never talk to peoples who said lets talk. Its my rule)

Me: no! Talk here what you want.

(why the hell his eyes burning in anger now)

He: i said lets talk then lets go!

Me: talk here or stop it!

He:(while pushing me again towards piller and pinning me to the wall. Start stared into my eyes were pur forheads attach with each other were his hands now cupped my face (yah forcefully) and were our lips are just inches a part to each other. As he start leaving his body pressure on me... I try to move and try to remove his hands from my cheeks cause i dont like get forced. But his muscular hands are so strong.. I start hitting his chest but it seems like he didnt give any response like much punchs and my hitting his chest is just joke for him. (my eyes get teary i really dont like to get forced why this dude behaving like this.) (with his thumbs he start wiping my tears from eyes. Were his thmbs are even enough to reach to my forhead to move side here.. His hands are big and strong enough..when his thumbs start wiping my tears i start moving my face cause i dont want his this side as it make him more angry. And tighten grip on cheeks.

Me:(i even cant talk..his grip is so tight,)

He: dont cry (still i am crying in his grip. )


Me: (while gaining my energy) ITS NOT IN MY HANDS! LEAVE ME!

He: (while leaving more body pressure on me) NO! You want to talk here then fine..